Road Trip Remy Rides Again pt. 29

{"formula": "C2H4N4OS", "method": "ωB97M-V/def2-TZVPD", "elements": ["S", "O", "N", "N", "N", "N", "C", "C", "H", "H", "H", "H"], "positions_angstrom": [[-2.29830, -0.00571, 1.08565], [1.07102, 2.68314, 0.68135], [-1.18703, 1.16794, 1.04674], [1.06142, 1.46630, 0.41750], [0.97945, -0.84010, -0.89766], [-0.18807, 0.77122, 0.32892], [-1.37778, -1.14533, 0.22460], [-0.16515, -0.55135, -0.08418], [1.58543, -1.51217, -0.39347], [1.52054, 1.20352, -0.39428], [-1.52803, -2.08392, -0.25124], [0.52651, -1.15352, -1.76394]], "lowdin_charge": [0.962, -0.091, -0.294, -0.120, 0.085, -0.193, -0.336, -0.392, 0.115, 0.091, 0.071, 0.103], "energy_ev": -20976.2977, "relative_energy_kcal_mol": 108.8, "homo_lumo_gap_ev": [8.35, 6.64]}

~~~~~

Molecular formula: C3H12NO3
Method: DFT, wB97M-V/def2-TZVPD

The geometry in XYZ format:
```
19
Properties=species:S:1:pos:R:3
C 1.26 0.80 1.81
N 0.54 1.84 1.09
C -0.87 1.57 0.93
C -1.24 0.43 -0.06
O -0.60 0.64 -1.27
H 2.32 1.02 1.67
H 1.12 -0.22 1.42
H 1.03 0.87 2.88
H 1.00 1.98 0.20
H -1.34 2.45 0.47
H -1.31 1.31 1.88
H -2.31 0.60 -0.19
H -1.09 -0.57 0.36
H 1.15 -1.16 -2.35
H -0.17 -0.29 -1.61
O 0.27 -1.50 -2.15
H 1.06 -2.30 0.35
H 0.09 -2.36 -0.77
O 0.35 -2.88 0.07
```

Total charge = -1
Orbital gap = 0.309 hartree
F_max = 1.4 eV/A
E = -401.98844 Eh
Molar mass = 110.13 g mol⁻¹
Relative energy (zero: lowest compared OMol25 entry of this formula, charge and spin) = 0.741 eV

Molecular formula: C2F6O6S2Sn
Method: DFT, wB97M-V/def2-TZVPD

The geometry in XYZ format:
```
17
Properties=species:S:1:pos:R:3
Sn -2.12 -0.78 -2.45
C 1.90 -3.53 -0.39
F 1.03 -4.01 0.49
F 3.15 -3.95 -0.05
F 1.62 -4.01 -1.62
S 1.81 -1.60 -0.59
O 2.00 -1.02 0.77
O 2.93 -1.25 -1.48
O 0.50 -1.31 -1.22
C -2.17 3.54 0.82
F -2.25 3.82 2.06
F -3.33 3.18 0.32
F -1.63 4.53 0.10
S -1.01 1.85 0.80
O -1.34 1.15 -0.43
O 0.35 2.32 0.92
O -1.43 1.06 1.95
```

Orbital gap = 0.143 hartree
F_max = 4.9 eV/A
E = -2137.32078 Eh
Molar mass = 416.85 g mol⁻¹
Relative energy (zero: lowest compared OMol25 entry of this formula, charge and spin) = 1.137 eV

Molecular formula: C20H10Cl2F6InN5O6S2Te4
Method: DFT, wB97M-V/def2-TZVPD

The geometry in XYZ format:
```
56
Properties=species:S:1:pos:R:3
In -0.03 -0.04 0.23
Cl 2.07 -6.40 1.80
C 2.07 -4.74 1.29
C 0.91 -4.20 0.78
C 0.88 -2.88 0.33
N -0.27 -2.21 -0.10
C -1.27 -2.92 -0.67
O -1.19 -4.08 -1.07
C -2.59 -2.21 -0.85
C -3.40 -2.57 -1.93
C -4.60 -1.91 -2.10
C -4.99 -0.97 -1.15
C -4.13 -0.70 -0.10
N -2.94 -1.29 0.04
C 2.06 -2.12 0.37
C 3.21 -2.66 0.93
C 3.22 -3.96 1.38
Cl 4.70 -4.61 2.05
N 1.96 -0.81 -0.13
C 3.04 -0.25 -0.70
O 4.09 -0.81 -0.98
C 2.92 1.22 -1.06
C 3.69 1.71 -2.11
C 3.63 3.06 -2.38
C 2.89 3.88 -1.54
C 2.20 3.30 -0.49
N 2.17 1.99 -0.28
H 0.02 -4.80 0.71
H -3.04 -3.32 -2.62
H -5.24 -2.12 -2.95
H -5.91 -0.42 -1.26
H -4.37 0.05 0.64
H 4.10 -2.06 1.00
H 4.30 1.02 -2.68
H 4.16 3.48 -3.23
H 2.82 4.95 -1.70
H 1.62 3.91 0.20
F -2.15 3.52 3.18
C -1.64 3.85 1.98
F -2.56 4.56 1.33
F -0.59 4.66 2.21
S -1.16 2.34 0.95
Here the entry continues

We woke up Wednesday morning to some bad news. Despite feeling fine the day before, Chris had come down with COVID so we weren't going to be spending time at the Henning household any longer. We decided to spend the rest of the week working from the trailer (mobile data connection willing). Everything ended up working fine, but it was hot hot hot. Dad sat outside for a while and he had to move every thirty minutes or so to stay out of the sun. Remy and Mom spent a good chunk of the morning working on school work, with Remy making sure to stay on schedule as he is missing the first few weeks of school. He has been making great progress on his reading, math, and writing, and he luckily has an excellent teacher. 

After work we went to the public pool for some swimming. Linnea and Elisabet (who were isolating from Chris and testing negative) joined us. Remy and Elisabet did some triangle swimming practice where they swam from one parent to the next (in the shape of a triangle) and tried to catch each other. We had to take several breaks to make sure no one hyperventilated. They are extreme swimmers. 

Thursday was more work, but Mom and Remy were able to take a trip to the children's museum in SLO. For our evening activity we took a very very foggy walk on the beach. It was a little spooky. Remy was quite concerned that we would get lost. 
On Friday morning we went into town for fancy coffee at Field Day. This was Dad's favorite coffee stop of the trip so far. They have lots of bean choices for all of their drinks. What we thought might be an artsy picture just looks like a mess. A lack of photo evidence aside, the coffee was excellent. 

After work we headed out to eat downtown. Our first choice had a 40 minute wait so we decided on a sushi restaurant down the street. It did not go well. It took twenty minutes for anyone to speak to us after being seated. We never received our drinks. Maria received the tempura dinner instead of the tempura rolls, and the sushi rolls took over and hour to come out (with no one telling us they were running behind). Any one of those might have been okay, but all together they made for a very unpleasant experience. Watching Remy eat noodles was at least entertaining. 

Luckily the arcade was our next stop so we could wash away our dinner sorrows with bright lights and high scores. Remy played pinball, a car racing game (I wouldn't let him get behind the wheel of my car), a basketball game, a Transformers game, donkey Kong, and a dance game. Dad and Remy also played a motorcycle game and got third place. The game blew air in your face when you accelerated and Remy's hair was going wild. It was a grand time and much more positively memorable than dinner. 
